Classe or Bryston?

Currently using a Bryston 9B with Aerial 8/surround system; not enough juice! I can augment two Classe CA-150 used as monoblocks with a CAV-75 bridged 3-way for center and rear, or just beef up the power to the 8's with another Bryston amp such as the 4B-ST. Anyone else had a similar showdown to determine the Canadian champ?
Us agressors need to stick together on here. There's far too much politeness going around! I don't have an HT setup, but Krell makes better amps than anybody outside the US, except maybe Burmester. DEFINITELY BETTER THAN ANY COMPANY FROM CANADA!!!
## Inserted here: records of molecules
'''
{
  "formula": "C42H108N21O5P5",
  "method": "ωB97M-V/def2-TZVPD",
  "species": ["O", "P", "N", "C", "C", "N", "C", "C", "N", "C", "C", "H", "H", "H", "H", "H", "H", "H", "H", "H", "H", "H", "H", "H", "H", "H", "H", "H", "H", "O", "P", "N", "C", "C", "N", "C", "C", "N", "C", "C", "H", "H", "H", "H", "H", "H", "H", "H", "H", "H", "H", "H", "H", "H", "H", "H", "H", "H", "O", "P", "N", "C", "C", "N", "C", "C", "N", "C", "C", "H", "H", "H", "H", "H", "H", "H", "H", "H", "H", "H", "H", "H", "H", "H", "H", "H", "H", "O", "P", "N", "C", "C", "N", "C", "C", "N", "C", "C", "H", "H", "H", "H", "H", "H", "H", "H", "H", "H", "H", "H", "H", "H", "H", "H", "H", "H", "O", "P", "N", "C", "C", "N", "C", "C", "N", "C", "C", "H", "H", "H", "H", "H", "H", "H", "H", "H", "H", "H", "H", "H", "H", "H", "H", "H", "H", "C", "C", "N", "H", "H", "H", "C", "C", "N", "H", "H", "H", "C", "C", "N", "H", "H", "H", "C", "C", "N", "H", "H", "H", "C", "C", "N", "H", "H", "H", "C", "C", "N", "H", "H", "H"],
'''
The answer here becomes an issue of what you are looking for. If your objective is for optimum home theater performance the Bryston will wow you and your friends-it is impressive in its ability to create a large enveloping soundstage-but it cannot match the pure musicality of the Classe. I'm using two Classe 151's with Aeriel 6's (cj preamp). Emotionally involving in a way the Bryston cannot reach. I auditioned the Aeriels-cj with the 7BST's in the same room. If you want music- go Classe, if you want great sound effects while watching Hollywood's latest trash- go Bryston.
Attached: molecular data:
=====
[1]
Below is 2 unconnected molecules or ions with the total composition C2H4OS3, with properties calculated with ωB97M-V/def2-TZVPD.

The maximum force comes out at 3.07 eV/A. The LUMO energy is -2.1 eV. The HOMO-LUMO gap is 7.15 eV. As for the energy relative to the best compared isomer or geometry (same formula, charge and spin): 234.9 kJ/mol. Its HOMO energy is -0.3403 Eh. Its electronic energy is -1348.31889 hartree.

Last column: natural (NBO) charge in e.
Element x y z (Å)
1 C 1.46 1.54 0.12  -0.334
2 C 1.36 1.42 1.62  -0.710
3 O 4.34 0.77 -0.80  -0.838
4 S 3.08 -1.28 0.72  -0.303
5 S 0.33 0.99 -0.87  0.117
6 S 3.22 -0.13 -0.87  1.109
7 H 2.23 2.30 -0.26  0.219
8 H 0.68 2.31 1.92  0.254
9 H 2.18 1.64 2.27  0.240
10 H 0.87 0.38 1.81  0.247



[2]
Below is 2 unconnected molecules or ions with the total composition C2H4OS3, with properties calculated with ωB97M-V/def2-TZVPD.

The maximum force comes out at 4.34 eV/A. The LUMO energy is -1.4 eV. The HOMO-LUMO gap is 7.56 eV. As for the energy relative to the best compared isomer or geometry (same formula, charge and spin): 466.7 kJ/mol. Its HOMO energy is -0.3298 Eh. Its electronic energy is -1348.23061 hartree.

Last column: natural (NBO) charge in e.
Element x y z (Å)
1 C 0.51 -0.62 -0.36  -0.487
2 C -0.58 -0.66 1.45  -0.523
3 O -0.16 1.91 0.00  -0.923
4 S 1.24 -1.87 -0.98  0.240
5 S -0.64 0.81 -2.68  -0.404
6 S 0.30 1.00 -1.04  1.402
7 H -0.17 -1.23 2.41  0.230
8 H -1.51 -1.06 1.10  0.205
9 H -0.51 0.42 1.45  0.232
10 H 1.53 1.29 -1.35  0.029



[3]
Below is C2H4OSi in the gas phase, with properties calculated with ωB97M-V/def2-TZVPD.

The maximum force comes out at 6.13 eV/A. The LUMO energy is 0.8 eV. The HOMO-LUMO gap is 9.54 eV. As for the energy relative to the best compared isomer or geometry (same formula, charge and spin): 17.5 kJ/mol. As for the SMILES: O=C=C[SiH3]. Its HOMO energy is -0.3228 Eh. Its electronic energy is -443.26568 hartree.

Last column: natural (NBO) charge in e.
Element x y z (Å)
1 O 0.56 0.91 2.47  -0.446
2 C 0.67 0.82 1.33  0.766
3 C 0.56 0.75 -0.12  -0.986
4 Si -0.53 -0.73 -0.72  0.877
5 H 0.98 1.56 -0.61  0.258
6 H -1.08 -0.66 -2.14  -0.132
7 H -1.61 -0.91 0.26  -0.165
8 H 0.44 -1.75 -0.48  -0.171



[4]
Below is a molecular structure, C2H4OTl, with properties calculated with ωB97M-V/def2-TZVPD.

The maximum force comes out at 3.92 eV/A. As for the charge: +2. The LUMO energy (spin up / spin down) is -14.4 / -14.2 eV. The HOMO-LUMO gap (spin up / spin down) is 9.07 / 8.70 eV. The multiplicity is 2. As for the energy relative to the best compared isomer or geometry (same formula, charge and spin): 312.9 kJ/mol. Its HOMO energy (spin up / spin down) is -0.8635 / -0.8430 Eh. Its electronic energy is -325.31721 hartree.

Last column: Mulliken charge in e.
Element x y z (Å)
1 O 0.64 -1.84 -0.68  -0.062
2 Tl -0.61 -0.48 -0.40  1.378
3 C 0.57 1.49 0.48  -0.481
4 C -0.70 1.67 0.89  -0.581
5 H 1.30 1.01 1.14  0.427
6 H 0.91 1.91 -0.47  0.423
7 H -1.04 1.32 1.87  0.433
=====
I'M not into home theater anymore just plain stereo. But I still know it's lame to mix and match channel power and speakers. Don't people know that the most optimal sound quality and refined sound will come from matching everything. every speaker should be the same, all the wires should be the same, and all the amp channels. that way all the the sound comeing from each speaker will be matched and blend harmoniously together. I don't care if the amp is from the same company. If it's not the exact same amp it's going to have different sonics. and maybe the speakers have the same tweeter and woofer but if the enclosure is different than guess what? the overall sound will be different. I'm sure the sytems sound great but they could be so much better. I'm tired of hearing about the great gear people have then finding out how chinnsy they set it up.
And I don't have an HT setup either. Glad to hear that you know how to set up your system. I agree, most 'philes out there don't have anything close to a "correct" setup.
First to Carl.... You've been watching that South Park movie too much. ******************************************************* Then to Tjreed..... Why don't you get emotionally involved with a woman? ******************************************************** Now The Speaker choice... Bryston or Classe... Now don't get emotional on me...but lets see (flipping through the recommended components in Stereophile for the last few years.... yep there's the 7b's in class A every damn year. Now (getting out magnifying glass) nope can't find the Classe other than the Omega: Hmmmm price is $15,000 U.S. dollars. $5,000. for the Bryston 7B... I am starting to get emotional... and for you south park fans that like Krell ... $11,000. which other reviewers published preferred the Bryston 7b's. For home theater it is desireable to have everything match but if you find some bargains out there a proper setup can be accomplished quite well by knowing the specific technical information regarding the speakers/ amplifiers and spending a few bucks to modify. If you don't know what your doing... Just go and sell everything you have and start over. Even running Bryston's powerpac 120 to five identical speakers may likely sound better than the mix & match approach...especially for home theater... and if you have any intention of playing dvd audio....etc..